_Input_
[1]
Diffraction record for Np2CdSn9. The X-ray powder pattern is simulated, not measured: it uses a crystal structure in Alexandria, relaxed with GGA-PBE and Cu Kα (λ = 1.5418 Å).
Intensities are scaled so that the largest is 100.

Cell and atoms:
a = 4.6074 Å, b = 4.6074 Å, c = 14.6687 Å
α = 90.00°, β = 90.00°, γ = 90.00°
Element x y z (fractional)
1 Np 0.0000 0.0000 0.1556
2 Np 0.0000 0.0000 0.8444
3 Cd 0.0000 0.0000 0.5000
4 Sn 0.0000 0.5000 0.0000
5 Sn 0.0000 0.5000 0.3276
6 Sn 0.0000 0.5000 0.6724
7 Sn 0.5000 0.0000 0.0000
8 Sn 0.5000 0.0000 0.3276
9 Sn 0.5000 0.0000 0.6724
10 Sn 0.5000 0.5000 0.1651
11 Sn 0.5000 0.5000 0.5000
12 Sn 0.5000 0.5000 0.8349

Top 12 peaks for 10 to 90 degrees two-theta, in order of rising 2θ:
| 2θ (°) | d [Å] | I/Imax |
| --- | --- | --- |
| 19.3 | 4.607 | 3 |
| 20.2 | 4.396 | 2 |
| 26.6 | 3.353 | 3 |
| 33.0 | 2.711 | 100 |
| 36.8 | 2.445 | 18 |
| 39.1 | 2.304 | 32 |
| 54.7 | 1.677 | 23 |
| 56.5 | 1.629 | 11 |
| 63.9 | 1.458 | 14 |
| 67.0 | 1.396 | 28 |
| 69.3 | 1.355 | 13 |
| 84.0 | 1.152 | 4 |

[2]
Diffraction record for ThNpCd17. The X-ray powder pattern is simulated, not measured: it uses a crystal structure in Alexandria, relaxed with GGA-PBE and Cu Kα (λ = 1.5418 Å).
Intensities are scaled so that the largest is 100.

Cell and atoms:
a = 7.6673 Å, b = 7.6673 Å, c = 7.6673 Å
α = 82.09°, β = 82.09°, γ = 82.09°
Element x y z (fractional)
1 Th 0.0000 0.0000 0.0000
2 Np 0.6626 0.6626 0.6626
3 Cd 0.0314 0.3333 0.6321
4 Cd 0.0314 0.6321 0.3333
5 Cd 0.1779 0.6909 0.6909
6 Cd 0.2305 0.2305 0.2305
7 Cd 0.3293 0.3293 0.8355
8 Cd 0.3293 0.8355 0.3293
9 Cd 0.3333 0.0314 0.6321
10 Cd 0.3333 0.6321 0.0314
11 Cd 0.4345 0.4345 0.4345
12 Cd 0.4999 0.9685 0.9685
13 Cd 0.6321 0.0314 0.3333
14 Cd 0.6321 0.3333 0.0314
15 Cd 0.6909 0.1779 0.6909
16 Cd 0.6909 0.6909 0.1779
17 Cd 0.8355 0.3293 0.3293
18 Cd 0.9685 0.4999 0.9685
19 Cd 0.9685 0.9685 0.4999

Top 12 peaks for 10 to 90 degrees two-theta, in order of rising 2θ:
| 2θ (°) | d [Å] | I/Imax |
| --- | --- | --- |
| 25.1 | 3.547 | 12 |
| 29.6 | 3.017 | 9 |
| 30.8 | 2.907 | 24 |
| 31.5 | 2.842 | 18 |
| 35.7 | 2.514 | 100 |
| 35.9 | 2.500 | 20 |
| 36.3 | 2.472 | 26 |
| 40.1 | 2.248 | 21 |
| 58.0 | 1.591 | 11 |
| 64.1 | 1.453 | 13 |
| 64.5 | 1.445 | 22 |
| 75.7 | 1.256 | 8 |

[3]
Diffraction record for Np2Zn16Cd. The X-ray powder pattern is simulated, not measured: it uses a crystal structure in Alexandria, relaxed with GGA-PBE and Cu Kα (λ = 1.5418 Å).
Intensities are scaled so that the largest is 100.

Cell and atoms:
a = 6.8486 Å, b = 6.8486 Å, c = 6.8486 Å
α = 82.79°, β = 82.79°, γ = 82.79°
Element x y z (fractional)
1 Np 0.0000 0.0000 0.0000
2 Np 0.3198 0.3198 0.3198
3 Zn 0.0140 0.0140 0.4998
4 Zn 0.0140 0.4998 0.0140
5 Zn 0.1543 0.6647 0.6647
6 Zn 0.3062 0.3062 0.8252
7 Zn 0.3062 0.8252 0.3062
8 Zn 0.3610 0.6612 0.9621
9 Zn 0.3610 0.9621 0.6612
10 Zn 0.4998 0.0140 0.0140
11 Zn 0.6612 0.3610 0.9621
12 Zn 0.6612 0.9621 0.3610
13 Zn 0.6647 0.1543 0.6647
14 Zn 0.6647 0.6647 0.1543
15 Zn 0.7704 0.7704 0.7704
16 Zn 0.8252 0.3062 0.3062
17 Zn 0.9621 0.3610 0.6612
18 Zn 0.9621 0.6612 0.3610
19 Cd 0.5630 0.5630 0.5630

Top 12 peaks for 10 to 90 degrees two-theta, in order of rising 2θ:
| 2θ (°) | d [Å] | I/Imax |
| --- | --- | --- |
| 28.2 | 3.164 | 42 |
| 34.3 | 2.615 | 52 |
| 35.4 | 2.533 | 32 |
| 39.8 | 2.264 | 63 |
| 40.1 | 2.251 | 100 |
| 40.8 | 2.211 | 51 |
| 41.1 | 2.198 | 18 |
| 57.7 | 1.596 | 23 |
| 58.3 | 1.582 | 25 |
| 65.3 | 1.429 | 21 |
| 72.3 | 1.307 | 20 |
| 73.8 | 1.284 | 22 |

=====

No. 1
Structure and theoretical X-ray diffraction stick pattern of Y2Er2Mg3 (a PBE-relaxed structure; copper Kα).
Lines closer than 0.1° are merged.

Principal peaks in the range 5° ≤ 2θ ≤ 70°, sorted by position:
d = 13.933 Å, intensity 65
d = 3.702 Å, intensity 24
d = 3.483 Å, intensity 10
d = 3.465 Å, intensity 15
d = 3.103 Å, intensity 18
d = 2.724 Å, intensity 100
d = 2.641 Å, intensity 48
d = 2.104 Å, intensity 10
d = 1.867 Å, intensity 17

_Wanted_
Copy the contents above word for word.

_Solution_
[1]
Diffraction record for Np2CdSn9. The X-ray powder pattern is simulated, not measured: it uses a crystal structure in Alexandria, relaxed with GGA-PBE and Cu Kα (λ = 1.5418 Å).
Intensities are scaled so that the largest is 100.

Cell and atoms:
a = 4.6074 Å, b = 4.6074 Å, c = 14.6687 Å
α = 90.00°, β = 90.00°, γ = 90.00°
Element x y z (fractional)
1 Np 0.0000 0.0000 0.1556
2 Np 0.0000 0.0000 0.8444
3 Cd 0.0000 0.0000 0.5000
4 Sn 0.0000 0.5000 0.0000
5 Sn 0.0000 0.5000 0.3276
6 Sn 0.0000 0.5000 0.6724
7 Sn 0.5000 0.0000 0.0000
8 Sn 0.5000 0.0000 0.3276
9 Sn 0.5000 0.0000 0.6724
10 Sn 0.5000 0.5000 0.1651
11 Sn 0.5000 0.5000 0.5000
12 Sn 0.5000 0.5000 0.8349

Top 12 peaks for 10 to 90 degrees two-theta, in order of rising 2θ:
| 2θ (°) | d [Å] | I/Imax |
| --- | --- | --- |
| 19.3 | 4.607 | 3 |
| 20.2 | 4.396 | 2 |
| 26.6 | 3.353 | 3 |
| 33.0 | 2.711 | 100 |
| 36.8 | 2.445 | 18 |
| 39.1 | 2.304 | 32 |
| 54.7 | 1.677 | 23 |
| 56.5 | 1.629 | 11 |
| 63.9 | 1.458 | 14 |
| 67.0 | 1.396 | 28 |
| 69.3 | 1.355 | 13 |
| 84.0 | 1.152 | 4 |

[2]
Diffraction record for ThNpCd17. The X-ray powder pattern is simulated, not measured: it uses a crystal structure in Alexandria, relaxed with GGA-PBE and Cu Kα (λ = 1.5418 Å).
Intensities are scaled so that the largest is 100.

Cell and atoms:
a = 7.6673 Å, b = 7.6673 Å, c = 7.6673 Å
α = 82.09°, β = 82.09°, γ = 82.09°
Element x y z (fractional)
1 Th 0.0000 0.0000 0.0000
2 Np 0.6626 0.6626 0.6626
3 Cd 0.0314 0.3333 0.6321
4 Cd 0.0314 0.6321 0.3333
5 Cd 0.1779 0.6909 0.6909
6 Cd 0.2305 0.2305 0.2305
7 Cd 0.3293 0.3293 0.8355
8 Cd 0.3293 0.8355 0.3293
9 Cd 0.3333 0.0314 0.6321
10 Cd 0.3333 0.6321 0.0314
11 Cd 0.4345 0.4345 0.4345
12 Cd 0.4999 0.9685 0.9685
13 Cd 0.6321 0.0314 0.3333
14 Cd 0.6321 0.3333 0.0314
15 Cd 0.6909 0.1779 0.6909
16 Cd 0.6909 0.6909 0.1779
17 Cd 0.8355 0.3293 0.3293
18 Cd 0.9685 0.4999 0.9685
19 Cd 0.9685 0.9685 0.4999

Top 12 peaks for 10 to 90 degrees two-theta, in order of rising 2θ:
| 2θ (°) | d [Å] | I/Imax |
| --- | --- | --- |
| 25.1 | 3.547 | 12 |
| 29.6 | 3.017 | 9 |
| 30.8 | 2.907 | 24 |
| 31.5 | 2.842 | 18 |
| 35.7 | 2.514 | 100 |
| 35.9 | 2.500 | 20 |
| 36.3 | 2.472 | 26 |
| 40.1 | 2.248 | 21 |
| 58.0 | 1.591 | 11 |
| 64.1 | 1.453 | 13 |
| 64.5 | 1.445 | 22 |
| 75.7 | 1.256 | 8 |

[3]
Diffraction record for Np2Zn16Cd. The X-ray powder pattern is simulated, not measured: it uses a crystal structure in Alexandria, relaxed with GGA-PBE and Cu Kα (λ = 1.5418 Å).
Intensities are scaled so that the largest is 100.

Cell and atoms:
a = 6.8486 Å, b = 6.8486 Å, c = 6.8486 Å
α = 82.79°, β = 82.79°, γ = 82.79°
Element x y z (fractional)
1 Np 0.0000 0.0000 0.0000
2 Np 0.3198 0.3198 0.3198
3 Zn 0.0140 0.0140 0.4998
4 Zn 0.0140 0.4998 0.0140
5 Zn 0.1543 0.6647 0.6647
6 Zn 0.3062 0.3062 0.8252
7 Zn 0.3062 0.8252 0.3062
8 Zn 0.3610 0.6612 0.9621
9 Zn 0.3610 0.9621 0.6612
10 Zn 0.4998 0.0140 0.0140
11 Zn 0.6612 0.3610 0.9621
12 Zn 0.6612 0.9621 0.3610
13 Zn 0.6647 0.1543 0.6647
14 Zn 0.6647 0.6647 0.1543
15 Zn 0.7704 0.7704 0.7704
16 Zn 0.8252 0.3062 0.3062
17 Zn 0.9621 0.3610 0.6612
18 Zn 0.9621 0.6612 0.3610
19 Cd 0.5630 0.5630 0.5630

Top 12 peaks for 10 to 90 degrees two-theta, in order of rising 2θ:
| 2θ (°) | d [Å] | I/Imax |
| --- | --- | --- |
| 28.2 | 3.164 | 42 |
| 34.3 | 2.615 | 52 |
| 35.4 | 2.533 | 32 |
| 39.8 | 2.264 | 63 |
| 40.1 | 2.251 | 100 |
| 40.8 | 2.211 | 51 |
| 41.1 | 2.198 | 18 |
| 57.7 | 1.596 | 23 |
| 58.3 | 1.582 | 25 |
| 65.3 | 1.429 | 21 |
| 72.3 | 1.307 | 20 |
| 73.8 | 1.284 | 22 |

=====

No. 1
Structure and theoretical X-ray diffraction stick pattern of Y2Er2Mg3 (a PBE-relaxed structure; copper Kα).
Lines closer than 0.1° are merged.

Principal peaks in the range 5° ≤ 2θ ≤ 70°, sorted by position:
d = 13.933 Å, intensity 65
d = 3.702 Å, intensity 24
d = 3.483 Å, intensity 10
d = 3.465 Å, intensity 15
d = 3.103 Å, intensity 18
d = 2.724 Å, intensity 100
d = 2.641 Å, intensity 48
d = 2.104 Å, intensity 10
d = 1.867 Å, intensity 17